[Request]
Could you say how many lines of the data further down hold the word "CrFeW4", as a bare number?

[Input]
'''
1.
Compound: BeRhAu
Source: the Alexandria database
Functional: PBE
Structure: optimized geometry

Output
Uncorrected energy, eV/atom: -4.919
Density of states at the Fermi level, states/eV per cell: 1.87
Magnetization, μB/f.u.: 0.0
Relative energy among the computed polymorphs, eV per atom: 0.118

Cell: 2.8060 2.8060 6.0496 Å, 90.00 90.00 120.00°
Element x y z (fractional)
Rh 0.3333 0.6667 0.6191
Au 0.0000 0.0000 0.0294
Be 0.6667 0.3333 0.3514

2.
Compound: ThSnN
Source: the Alexandria database
Functional: PBE
Structure: optimized geometry

Output
Uncorrected energy, eV/atom: -7.305
Density of states at the Fermi level, states/eV per cell: 1.45
Magnetization, μB/f.u.: 0.0
Relative energy among the computed polymorphs, eV per atom: 0.507
Formation energy from raw total energies, eV per atom: -0.72

Cell: 3.5125 3.5125 6.3276 Å, 106.11 106.11 90.00°
Element x y z (fractional)
Sn 0.0297 0.0297 0.0595
Th 0.7334 0.7334 0.4668
N 0.2369 0.2369 0.4737


CrFeW4 (PBE, optimized geometry); calculated formation energy = 64 kJ per mole of atoms; N(E_F) = 0.743 states/eV per atom; SG = F-43m, No. 216; size of the total moment = 5.2 μB per cell; total energy = -0.4037 hartree per atom
1.0
0.000 3.689 3.689
3.689 0.000 3.689
3.689 3.689 0.000
Cr Fe W
1 1 4
direct
0.000 0.000 0.000
0.750 0.750 0.750
0.375 0.375 0.375
0.375 0.375 0.874
0.375 0.874 0.375
0.874 0.375 0.375


Cr2Fe2W (PBE, optimized geometry); calculated formation energy = 19 kJ per mole of atoms; N(E_F) = 1.416 states/eV per atom; SG = P4/mbm, No. 127; size of the total moment = 0.0 μB per cell; relative energy among the computed polymorphs = 0 meV per atom; total energy = -0.3539 hartree per atom
1.0
6.793 0.000 0.000
0.000 6.793 0.000
0.000 0.000 2.623
Cr Fe W
4 4 2
direct
0.166 0.334 0.000
0.334 0.834 0.000
0.666 0.166 0.000
0.834 0.666 0.000
0.130 0.630 0.500
0.370 0.130 0.500
0.630 0.870 0.500
0.870 0.370 0.500
0.000 0.000 0.500
0.500 0.500 0.500


CrFe2W (PBE, optimized geometry); calculated formation energy = 11 kJ per mole of atoms; N(E_F) = 0.944 states/eV per atom; SG = Pmmm, No. 47; size of the total moment = 4.0 μB per cell; relative energy among the computed polymorphs = 8 meV per atom; total energy = -0.3587 hartree per atom
1.0
3.028 0.000 0.000
0.000 4.055 0.000
0.000 0.000 4.116
Cr Fe W
1 2 1
direct
0.000 0.000 0.000
0.000 0.500 0.500
0.500 0.000 0.500
0.500 0.500 0.000


Cr2FeW (PBE, optimized geometry); calculated formation energy = 15 kJ per mole of atoms; N(E_F) = 1.146 states/eV per atom; SG = C2/m, No. 12; size of the total moment = 2.3 μB per cell; relative energy among the computed polymorphs = 37 meV per atom; total energy = -0.3677 hartree per atom
1.0
2.540 -4.191 0.000
2.540 4.191 0.000
-0.866 0.000 2.411
Cr Fe W
2 1 1
direct
0.000 0.500 0.000
0.500 0.000 0.000
0.000 0.000 0.500
0.500 0.500 0.500


i.
VASP calculation (PBE-GGA) on a geometry-optimized LaSmYCd structure.

Calculated values
Mass density = 6.6 g cm⁻³

```
data_LaSmYCd
_chemical_formula_sum 'La4 Sm4 Y4 Cd4'
_space_group_name_H-M_alt 'F -4 3 m'
_space_group_IT_number 216
_space_group_name_Hall 'F -4 2 3'
_cell_length_a 7.920
_cell_length_b 7.920
_cell_length_c 7.920
_cell_angle_alpha 90.00
_cell_angle_beta 90.00
_cell_angle_gamma 90.00
loop_
_atom_site_label
_atom_site_type_symbol
_atom_site_fract_x
_atom_site_fract_y
_atom_site_fract_z
La1 La 0.000 0.000 0.000
Sm1 Sm 0.000 0.000 0.500
Y1 Y 0.250 0.250 0.250
Cd1 Cd 0.250 0.250 0.750
```

ii.
VASP calculation (PBE-GGA) on a geometry-optimized LaSmYCd structure.

Calculated values
Mass density = 6.5 g cm⁻³

```
data_LaSmYCd
_chemical_formula_sum 'La1 Sm1 Y1 Cd1'
_space_group_name_H-M_alt 'P 4 m m'
_space_group_IT_number 99
_cell_length_a 3.734
_cell_length_b 3.734
_cell_length_c 8.922
_cell_angle_alpha 90.00
_cell_angle_beta 90.00
_cell_angle_gamma 90.00
loop_
_space_group_symop_operation_xyz
'x,y,z'
'-y,x,z'
'-x,-y,z'
'y,-x,z'
'-x,y,z'
'y,x,z'
'x,-y,z'
'-y,-x,z'
loop_
_atom_site_label
_atom_site_type_symbol
_atom_site_fract_x
'''

[Worked solution]
1